## Input
********
This record from the Open Molecules 2025 dataset describes 3 unconnected molecules or ions with the total composition C16H30FN3O10S in a non-equilibrium geometry. The level of theory is wB97M-V/def2-TZVPD.

Properties
Kohn-Sham gap ... 9.62 eV
Highest occupied orbital energy ... -0.34430 Ha
Structure (SMILES) ... CC(=O)N(C)CCCCN(OC#N)S(=O)(=O)F.CCOC(=O)OC.CCOC(=O)OC
LUMO ... 0.009 Eh

```
! RIJCOSX wB97M-V def2-TZVPD def2/J DEFGRID3
* xyz 0 1
C -0.978 0.551 2.264
C -2.267 1.298 2.554
O -3.044 0.816 3.345
N -2.608 2.521 1.910
C -2.124 2.608 0.529
C -2.309 3.703 2.725
C -0.993 3.707 3.502
C 0.263 3.743 2.633
C 1.381 4.433 3.397
N 2.668 4.468 2.636
O 2.651 3.624 1.499
C 2.623 4.375 0.440
N 2.605 5.054 -0.512
S 4.018 4.018 3.546
O 5.171 4.615 3.006
O 4.037 2.615 3.723
F 3.713 4.712 4.882
H -0.426 0.442 3.188
H -1.224 -0.452 1.939
H -0.389 0.992 1.470
H -2.919 3.044 -0.068
H -1.249 3.241 0.391
H -1.910 1.637 0.099
H -2.388 4.614 2.148
H -3.098 3.762 3.471
H -0.940 2.929 4.254
H -0.983 4.642 4.065
H 0.097 4.307 1.722
H 0.576 2.739 2.381
H 1.099 5.460 3.593
H 1.543 3.948 4.355
C 1.024 -1.765 -4.157
C 0.397 -0.498 -3.617
O 0.607 -0.355 -2.203
C 1.830 0.023 -1.841
O 2.746 0.269 -2.574
O 1.862 0.079 -0.508
C 3.147 0.394 0.037
H 0.666 -2.635 -3.604
H 0.779 -1.891 -5.212
H 2.108 -1.743 -4.060
H -0.683 -0.536 -3.752
H 0.759 0.387 -4.141
H 3.538 1.316 -0.390
H 3.842 -0.426 -0.135
H 3.016 0.527 1.107
C -1.030 -8.222 -3.093
C -2.045 -7.438 -3.897
O -2.818 -6.555 -3.070
C -2.192 -5.454 -2.669
O -1.066 -5.135 -2.943
O -3.025 -4.764 -1.891
C -2.447 -3.594 -1.309
H -1.520 -8.756 -2.278
H -0.516 -8.943 -3.730
H -0.284 -7.564 -2.651
H -2.763 -8.120 -4.349
H -1.574 -6.878 -4.705
H -2.017 -2.948 -2.071
H -1.688 -3.874 -0.581
H -3.249 -3.065 -0.802
*
```

Let us look at the natural (NBO) charges, expressed in e, one per atom: atom 1 (C): -0.744, atom 2 (C): 0.707, atom 3 (O): -0.545, atom 4 (N): -0.494, atom 5 (C): -0.420, atom 6 (C): -0.206, atom 7 (C): -0.420, atom 8 (C): -0.423, atom 9 (C): -0.238, atom 10 (N): -0.369, atom 11 (O): -0.339, atom 12 (C): 0.523, atom 13 (N): -0.345, atom 14 (S): 2.513, atom 15 (O): -0.876, atom 16 (O): -0.897, atom 17 (F): -0.450, atom 18 (H): 0.245, atom 19 (H): 0.250, atom 20 (H): 0.219, atom 21 (H): 0.208, atom 22 (H): 0.179, atom 23 (H): 0.211, atom 24 (H): 0.205, atom 25 (H): 0.217, atom 26 (H): 0.217, atom 27 (H): 0.208, atom 28 (H): 0.211, atom 29 (H): 0.224, atom 30 (H): 0.217, atom 31 (H): 0.209, atom 32 (C): -0.645, atom 33 (C): -0.070, atom 34 (O): -0.499, atom 35 (C): 0.981, atom 36 (O): -0.637, atom 37 (O): -0.505, atom 38 (C): -0.258, atom 39 (H): 0.224, atom 40 (H): 0.218, atom 41 (H): 0.226, atom 42 (H): 0.187, atom 43 (H): 0.194, atom 44 (H): 0.196, atom 45 (H): 0.194, atom 46 (H): 0.196, atom 47 (C): -0.640, atom 48 (C): -0.070, atom 49 (O): -0.492, atom 50 (C): 0.982, atom 51 (O): -0.653, atom 52 (O): -0.493, atom 53 (C): -0.256, atom 54 (H): 0.212, atom 55 (H): 0.218, atom 56 (H): 0.227, atom 57 (H): 0.191, atom 58 (H): 0.193, atom 59 (H): 0.193, atom 60 (H): 0.190, atom 61 (H): 0.197

---

This record from the Open Molecules 2025 dataset describes a molecular structure, C16H30FNO5P in a non-equilibrium geometry. The level of theory is wB97M-V/def2-TZVPD.

Properties
Kohn-Sham gap ... 8.30 eV
Highest occupied orbital energy ... -0.47969 Ha
LUMO ... -0.175 Eh

```
! RIJCOSX wB97M-V def2-TZVPD def2/J DEFGRID3
* xyz 1 1
C 2.341 -0.034 3.063
O 2.364 -1.423 3.246
C 1.721 -2.115 2.200
C 0.177 -2.100 2.333
C -0.442 -3.428 1.863
C -1.947 -3.374 1.562
C -2.352 -2.404 0.423
C -3.694 -1.689 0.743
C -3.838 -0.256 0.168
C -3.672 0.855 1.234
C -2.171 1.093 1.517
C -1.546 2.223 0.671
C -0.006 1.994 0.660
P 0.446 0.558 -0.346
O 1.478 0.972 -1.586
C 2.051 -0.163 -1.994
N 2.335 -1.178 -2.449
H 2.446 0.463 4.025
H 1.382 0.267 2.614
H 3.150 0.327 2.413
H 2.055 -3.149 2.269
H 2.044 -1.658 1.249
H -0.021 -2.002 3.404
H -0.245 -1.224 1.828
H 0.138 -3.850 1.035
H -0.311 -4.136 2.688
H -2.507 -3.210 2.483
********

## Assignment
Could you retype all of the contents further up without altering anything?

## Worked solution
This record from the Open Molecules 2025 dataset describes 3 unconnected molecules or ions with the total composition C16H30FN3O10S in a non-equilibrium geometry. The level of theory is wB97M-V/def2-TZVPD.

Properties
Kohn-Sham gap ... 9.62 eV
Highest occupied orbital energy ... -0.34430 Ha
Structure (SMILES) ... CC(=O)N(C)CCCCN(OC#N)S(=O)(=O)F.CCOC(=O)OC.CCOC(=O)OC
LUMO ... 0.009 Eh

```
! RIJCOSX wB97M-V def2-TZVPD def2/J DEFGRID3
* xyz 0 1
C -0.978 0.551 2.264
C -2.267 1.298 2.554
O -3.044 0.816 3.345
N -2.608 2.521 1.910
C -2.124 2.608 0.529
C -2.309 3.703 2.725
C -0.993 3.707 3.502
C 0.263 3.743 2.633
C 1.381 4.433 3.397
N 2.668 4.468 2.636
O 2.651 3.624 1.499
C 2.623 4.375 0.440
N 2.605 5.054 -0.512
S 4.018 4.018 3.546
O 5.171 4.615 3.006
O 4.037 2.615 3.723
F 3.713 4.712 4.882
H -0.426 0.442 3.188
H -1.224 -0.452 1.939
H -0.389 0.992 1.470
H -2.919 3.044 -0.068
H -1.249 3.241 0.391
H -1.910 1.637 0.099
H -2.388 4.614 2.148
H -3.098 3.762 3.471
H -0.940 2.929 4.254
H -0.983 4.642 4.065
H 0.097 4.307 1.722
H 0.576 2.739 2.381
H 1.099 5.460 3.593
H 1.543 3.948 4.355
C 1.024 -1.765 -4.157
C 0.397 -0.498 -3.617
O 0.607 -0.355 -2.203
C 1.830 0.023 -1.841
O 2.746 0.269 -2.574
O 1.862 0.079 -0.508
C 3.147 0.394 0.037
H 0.666 -2.635 -3.604
H 0.779 -1.891 -5.212
H 2.108 -1.743 -4.060
H -0.683 -0.536 -3.752
H 0.759 0.387 -4.141
H 3.538 1.316 -0.390
H 3.842 -0.426 -0.135
H 3.016 0.527 1.107
C -1.030 -8.222 -3.093
C -2.045 -7.438 -3.897
O -2.818 -6.555 -3.070
C -2.192 -5.454 -2.669
O -1.066 -5.135 -2.943
O -3.025 -4.764 -1.891
C -2.447 -3.594 -1.309
H -1.520 -8.756 -2.278
H -0.516 -8.943 -3.730
H -0.284 -7.564 -2.651
H -2.763 -8.120 -4.349
H -1.574 -6.878 -4.705
H -2.017 -2.948 -2.071
H -1.688 -3.874 -0.581
H -3.249 -3.065 -0.802
*
```

Let us look at the natural (NBO) charges, expressed in e, one per atom: atom 1 (C): -0.744, atom 2 (C): 0.707, atom 3 (O): -0.545, atom 4 (N): -0.494, atom 5 (C): -0.420, atom 6 (C): -0.206, atom 7 (C): -0.420, atom 8 (C): -0.423, atom 9 (C): -0.238, atom 10 (N): -0.369, atom 11 (O): -0.339, atom 12 (C): 0.523, atom 13 (N): -0.345, atom 14 (S): 2.513, atom 15 (O): -0.876, atom 16 (O): -0.897, atom 17 (F): -0.450, atom 18 (H): 0.245, atom 19 (H): 0.250, atom 20 (H): 0.219, atom 21 (H): 0.208, atom 22 (H): 0.179, atom 23 (H): 0.211, atom 24 (H): 0.205, atom 25 (H): 0.217, atom 26 (H): 0.217, atom 27 (H): 0.208, atom 28 (H): 0.211, atom 29 (H): 0.224, atom 30 (H): 0.217, atom 31 (H): 0.209, atom 32 (C): -0.645, atom 33 (C): -0.070, atom 34 (O): -0.499, atom 35 (C): 0.981, atom 36 (O): -0.637, atom 37 (O): -0.505, atom 38 (C): -0.258, atom 39 (H): 0.224, atom 40 (H): 0.218, atom 41 (H): 0.226, atom 42 (H): 0.187, atom 43 (H): 0.194, atom 44 (H): 0.196, atom 45 (H): 0.194, atom 46 (H): 0.196, atom 47 (C): -0.640, atom 48 (C): -0.070, atom 49 (O): -0.492, atom 50 (C): 0.982, atom 51 (O): -0.653, atom 52 (O): -0.493, atom 53 (C): -0.256, atom 54 (H): 0.212, atom 55 (H): 0.218, atom 56 (H): 0.227, atom 57 (H): 0.191, atom 58 (H): 0.193, atom 59 (H): 0.193, atom 60 (H): 0.190, atom 61 (H): 0.197

---

This record from the Open Molecules 2025 dataset describes a molecular structure, C16H30FNO5P in a non-equilibrium geometry. The level of theory is wB97M-V/def2-TZVPD.

Properties
Kohn-Sham gap ... 8.30 eV
Highest occupied orbital energy ... -0.47969 Ha
LUMO ... -0.175 Eh

```
! RIJCOSX wB97M-V def2-TZVPD def2/J DEFGRID3
* xyz 1 1
C 2.341 -0.034 3.063
O 2.364 -1.423 3.246
C 1.721 -2.115 2.200
C 0.177 -2.100 2.333
C -0.442 -3.428 1.863
C -1.947 -3.374 1.562
C -2.352 -2.404 0.423
C -3.694 -1.689 0.743
C -3.838 -0.256 0.168
C -3.672 0.855 1.234
C -2.171 1.093 1.517
C -1.546 2.223 0.671
C -0.006 1.994 0.660
P 0.446 0.558 -0.346
O 1.478 0.972 -1.586
C 2.051 -0.163 -1.994
N 2.335 -1.178 -2.449
H 2.446 0.463 4.025
H 1.382 0.267 2.614
H 3.150 0.327 2.413
H 2.055 -3.149 2.269
H 2.044 -1.658 1.249
H -0.021 -2.002 3.404
H -0.245 -1.224 1.828
H 0.138 -3.850 1.035
H -0.311 -4.136 2.688
H -2.507 -3.210 2.483